Material.
/*
The following is a computed powder diffractogram of Sn5HgPb8. It was derived from a DFT-relaxed cell (GGA-PBE, Alexandria), using copper Kα.
Kinematic intensities with the Lorentz-polarization factor, no thermal factor.

Top 6 peaks for 10° ≤ 2θ ≤ 90°, sorted by position:
2theta	d [Å]	I/Imax
29.49	3.029	533
29.66	3.012	1000
35.16	2.552	895
35.25	2.546	440
46.68	1.946	218
59.83	1.546	302

Crystal structure
a b c (Å): 8.264 8.264 8.264
angles (deg): 109.65 109.65 109.12
Sites, in units of the cell vectors:
Sn: 0.000 0.000 0.000
Sn: 0.160 0.517 0.892
Sn: 0.483 0.375 0.643
Sn: 0.625 0.268 0.108
Sn: 0.732 0.840 0.357
Hg: 0.250 0.750 0.500
Pb: 0.000 0.260 0.402
Pb: 0.189 0.104 0.738
Pb: 0.366 0.451 0.262
Pb: 0.402 0.000 0.260
Pb: 0.549 0.811 0.915
Pb: 0.740 0.142 0.740
Pb: 0.858 0.598 0.598
Pb: 0.896 0.634 0.085

The following is a computed powder diffractogram of Sn2Hg2Pb5. It was derived from a DFT-relaxed cell (GGA-PBE, Alexandria), using copper Kα.
Kinematic intensities with the Lorentz-polarization factor, no thermal factor.

Top 6 peaks for 10° ≤ 2θ ≤ 90°, sorted by position:
2theta	d [Å]	I/Imax
31.50	2.840	1000
31.59	2.832	491
32.08	2.790	468
35.41	2.535	366
36.26	2.477	337
38.46	2.341	295

Crystal structure
a b c (Å): 6.078 8.943 10.709
angles (deg): 70.88 82.98 74.42
Sites, in units of the cell vectors:
Sn: 0.000 0.000 0.000
Sn: 0.064 0.749 0.769
Sn: 0.424 0.102 0.107
Sn: 0.639 0.648 0.661
Hg: 0.032 0.375 0.884
Hg: 0.299 0.323 0.324
Hg: 0.533 0.875 0.885
Hg: 0.766 0.427 0.445
Pb: 0.141 0.136 0.677
Pb: 0.198 0.533 0.555
Pb: 0.257 0.931 0.442
Pb: 0.370 0.705 0.218
Pb: 0.481 0.495 0.986
Pb: 0.584 0.255 0.783
Pb: 0.695 0.045 0.551
Pb: 0.807 0.818 0.326
Pb: 0.865 0.217 0.213
Pb: 0.924 0.613 0.092

What did the first record say?
The following is a computed powder diffractogram of Sn5HgPb8. It was derived from a DFT-relaxed cell (GGA-PBE, Alexandria), using copper Kα.
Kinematic intensities with the Lorentz-polarization factor, no thermal factor.

Top 6 peaks for 10° ≤ 2θ ≤ 90°, sorted by position:
2theta	d [Å]	I/Imax
29.49	3.029	533
29.66	3.012	1000
35.16	2.552	895
35.25	2.546	440
46.68	1.946	218
59.83	1.546	302

Crystal structure
a b c (Å): 8.264 8.264 8.264
angles (deg): 109.65 109.65 109.12
Sites, in units of the cell vectors:
Sn: 0.000 0.000 0.000
Sn: 0.160 0.517 0.892
Sn: 0.483 0.375 0.643
Sn: 0.625 0.268 0.108
Sn: 0.732 0.840 0.357
Hg: 0.250 0.750 0.500
Pb: 0.000 0.260 0.402
Pb: 0.189 0.104 0.738
Pb: 0.366 0.451 0.262
Pb: 0.402 0.000 0.260
Pb: 0.549 0.811 0.915
Pb: 0.740 0.142 0.740
Pb: 0.858 0.598 0.598
Pb: 0.896 0.634 0.085

Number 2 is which compound?
Sn2Hg2Pb5

What is the formula in the second record?
Sn2Hg2Pb5

* * * * *

AsCl2F3: theoretical XRD peak list (Cu Kα, 1.54184 Å), based on a GGA-PBE-relaxed structure.

Main lines, low angle first (2θ from 15° to 90°):
2θ 16.92, rel. 25, (1 0 1)
2θ 19.62, rel. 99, (1 1 1)
2θ 19.80, rel. 100, (2 0 0)
2θ 26.16, rel. 63, (2 1 1)
2θ 29.41, rel. 20, (1 0 2)
2θ 34.54, rel. 15, (1 3 1)
2θ 39.85, rel. 14, (2 2 2)
2θ 40.22, rel. 22, (4 0 0)
2θ 42.42, rel. 17, (1 3 2)
2θ 51.31, rel. 15, (2 2 3)
2θ 57.12, rel. 14, (2 5 1)
2θ 63.40, rel. 16, (2 4 3)

```
AsCl2F3
1.0
8.968 0.000 0.000
0.000 8.968 0.000
0.000 0.000 6.457
As Cl F
4 8 12
Direct
0.250 0.250 0.164
0.250 0.750 0.500
0.750 0.250 0.500
0.750 0.750 0.836
0.062 0.722 0.311
0.222 0.938 0.689
0.278 0.562 0.689
0.438 0.778 0.311
0.562 0.222 0.689
0.722 0.438 0.311
0.778 0.062 0.311
0.938 0.278 0.689
0.059 0.304 0.162
0.196 0.059 0.162
0.250 0.250 0.437
0.250 0.250 0.887
0.304 0.441 0.162
0.441 0.196 0.162
0.559 0.804 0.838
0.696 0.559 0.838
0.750 0.750 0.113
0.750 0.750 0.563
0.804 0.941 0.838
0.941 0.696 0.838
```

* * * * *

Structure and theoretical powder diffraction line list of Ti6ZnSb (a cell relaxed with GGA-PBE; Cu Kα (weighted mean of Kα1 and Kα2)).

Peak list (8 most intense, 10 to 80 degrees two-theta, most intense first)
2θ (°)	Rel. int.
40.81	100
38.14	27
35.87	25
70.73	19
77.44	18
64.47	16
25.95	15
53.36	15
*/
Request.
Quote all of the contents further above character by character.
Worked solution.
The following is a computed powder diffractogram of Sn5HgPb8. It was derived from a DFT-relaxed cell (GGA-PBE, Alexandria), using copper Kα.
Kinematic intensities with the Lorentz-polarization factor, no thermal factor.

Top 6 peaks for 10° ≤ 2θ ≤ 90°, sorted by position:
2theta	d [Å]	I/Imax
29.49	3.029	533
29.66	3.012	1000
35.16	2.552	895
35.25	2.546	440
46.68	1.946	218
59.83	1.546	302

Crystal structure
a b c (Å): 8.264 8.264 8.264
angles (deg): 109.65 109.65 109.12
Sites, in units of the cell vectors:
Sn: 0.000 0.000 0.000
Sn: 0.160 0.517 0.892
Sn: 0.483 0.375 0.643
Sn: 0.625 0.268 0.108
Sn: 0.732 0.840 0.357
Hg: 0.250 0.750 0.500
Pb: 0.000 0.260 0.402
Pb: 0.189 0.104 0.738
Pb: 0.366 0.451 0.262
Pb: 0.402 0.000 0.260
Pb: 0.549 0.811 0.915
Pb: 0.740 0.142 0.740
Pb: 0.858 0.598 0.598
Pb: 0.896 0.634 0.085

The following is a computed powder diffractogram of Sn2Hg2Pb5. It was derived from a DFT-relaxed cell (GGA-PBE, Alexandria), using copper Kα.
Kinematic intensities with the Lorentz-polarization factor, no thermal factor.

Top 6 peaks for 10° ≤ 2θ ≤ 90°, sorted by position:
2theta	d [Å]	I/Imax
31.50	2.840	1000
31.59	2.832	491
32.08	2.790	468
35.41	2.535	366
36.26	2.477	337
38.46	2.341	295

Crystal structure
a b c (Å): 6.078 8.943 10.709
angles (deg): 70.88 82.98 74.42
Sites, in units of the cell vectors:
Sn: 0.000 0.000 0.000
Sn: 0.064 0.749 0.769
Sn: 0.424 0.102 0.107
Sn: 0.639 0.648 0.661
Hg: 0.032 0.375 0.884
Hg: 0.299 0.323 0.324
Hg: 0.533 0.875 0.885
Hg: 0.766 0.427 0.445
Pb: 0.141 0.136 0.677
Pb: 0.198 0.533 0.555
Pb: 0.257 0.931 0.442
Pb: 0.370 0.705 0.218
Pb: 0.481 0.495 0.986
Pb: 0.584 0.255 0.783
Pb: 0.695 0.045 0.551
Pb: 0.807 0.818 0.326
Pb: 0.865 0.217 0.213
Pb: 0.924 0.613 0.092

What did the first record say?
The following is a computed powder diffractogram of Sn5HgPb8. It was derived from a DFT-relaxed cell (GGA-PBE, Alexandria), using copper Kα.
Kinematic intensities with the Lorentz-polarization factor, no thermal factor.

Top 6 peaks for 10° ≤ 2θ ≤ 90°, sorted by position:
2theta	d [Å]	I/Imax
29.49	3.029	533
29.66	3.012	1000
35.16	2.552	895
35.25	2.546	440
46.68	1.946	218
59.83	1.546	302

Crystal structure
a b c (Å): 8.264 8.264 8.264
angles (deg): 109.65 109.65 109.12
Sites, in units of the cell vectors:
Sn: 0.000 0.000 0.000
Sn: 0.160 0.517 0.892
Sn: 0.483 0.375 0.643
Sn: 0.625 0.268 0.108
Sn: 0.732 0.840 0.357
Hg: 0.250 0.750 0.500
Pb: 0.000 0.260 0.402
Pb: 0.189 0.104 0.738
Pb: 0.366 0.451 0.262
Pb: 0.402 0.000 0.260
Pb: 0.549 0.811 0.915
Pb: 0.740 0.142 0.740
Pb: 0.858 0.598 0.598
Pb: 0.896 0.634 0.085

Number 2 is which compound?
Sn2Hg2Pb5

What is the formula in the second record?
Sn2Hg2Pb5

* * * * *

AsCl2F3: theoretical XRD peak list (Cu Kα, 1.54184 Å), based on a GGA-PBE-relaxed structure.

Main lines, low angle first (2θ from 15° to 90°):
2θ 16.92, rel. 25, (1 0 1)
2θ 19.62, rel. 99, (1 1 1)
2θ 19.80, rel. 100, (2 0 0)
2θ 26.16, rel. 63, (2 1 1)
2θ 29.41, rel. 20, (1 0 2)
2θ 34.54, rel. 15, (1 3 1)
2θ 39.85, rel. 14, (2 2 2)
2θ 40.22, rel. 22, (4 0 0)
2θ 42.42, rel. 17, (1 3 2)
2θ 51.31, rel. 15, (2 2 3)
2θ 57.12, rel. 14, (2 5 1)
2θ 63.40, rel. 16, (2 4 3)

```
AsCl2F3
1.0
8.968 0.000 0.000
0.000 8.968 0.000
0.000 0.000 6.457
As Cl F
4 8 12
Direct
0.250 0.250 0.164
0.250 0.750 0.500
0.750 0.250 0.500
0.750 0.750 0.836
0.062 0.722 0.311
0.222 0.938 0.689
0.278 0.562 0.689
0.438 0.778 0.311
0.562 0.222 0.689
0.722 0.438 0.311
0.778 0.062 0.311
0.938 0.278 0.689
0.059 0.304 0.162
0.196 0.059 0.162
0.250 0.250 0.437
0.250 0.250 0.887
0.304 0.441 0.162
0.441 0.196 0.162
0.559 0.804 0.838
0.696 0.559 0.838
0.750 0.750 0.113
0.750 0.750 0.563
0.804 0.941 0.838
0.941 0.696 0.838
```

* * * * *

Structure and theoretical powder diffraction line list of Ti6ZnSb (a cell relaxed with GGA-PBE; Cu Kα (weighted mean of Kα1 and Kα2)).

Peak list (8 most intense, 10 to 80 degrees two-theta, most intense first)
2θ (°)	Rel. int.
40.81	100
38.14	27
35.87	25
70.73	19
77.44	18
64.47	16
25.95	15
53.36	15